_Contents_
Entry 1:
## Tl3PdCl5 (PBE)

Data for a relaxed structure of Tl3PdCl5.

Results
As for the MP2020-corrected energy: -3.59 eV/atom. The magnetization is 0.00 μB per formula unit. The formation enthalpy at 0 K comes out at -1.20 eV per atom.

a b c (Å): 7.790 16.710 16.770
angles (deg): 90.00 90.00 90.00
Fractional coordinates of all 72 atoms:
Tl 0.874 0.059 0.194
Tl 0.374 0.441 0.806
Tl 0.126 0.559 0.306
Tl 0.626 0.941 0.694
Tl 0.126 0.941 0.806
Tl 0.626 0.559 0.194
Tl 0.874 0.441 0.694
Tl 0.374 0.059 0.306
Tl 0.111 0.403 0.086
Tl 0.611 0.097 0.914
Tl 0.889 0.903 0.414
Tl 0.389 0.597 0.586
Tl 0.889 0.597 0.914
Tl 0.389 0.903 0.086
Tl 0.111 0.097 0.586
Tl 0.611 0.403 0.414
Tl 0.589 0.296 0.150
Tl 0.089 0.204 0.850
Tl 0.411 0.796 0.350
Tl 0.911 0.704 0.650
Tl 0.411 0.704 0.850
Tl 0.911 0.796 0.150
Tl 0.589 0.204 0.650
Tl 0.089 0.296 0.350
Pd 0.192 0.142 0.072
Pd 0.692 0.358 0.928
Pd 0.808 0.642 0.428
Pd 0.308 0.858 0.572
Pd 0.808 0.858 0.928
Pd 0.308 0.642 0.072
Pd 0.192 0.358 0.572
Pd 0.692 0.142 0.428
Cl 0.374 0.427 0.238
Cl 0.874 0.073 0.762
Cl 0.626 0.927 0.262
Cl 0.126 0.573 0.738
Cl 0.626 0.573 0.762
Cl 0.126 0.927 0.238
Cl 0.374 0.073 0.738
Cl 0.874 0.427 0.262
Cl 0.933 0.196 0.026
Cl 0.433 0.304 0.974
Cl 0.067 0.696 0.474
Cl 0.567 0.804 0.526
Cl 0.067 0.804 0.974
Cl 0.567 0.696 0.026
Cl 0.933 0.304 0.526
Cl 0.433 0.196 0.474
Cl 0.708 0.443 0.038
Cl 0.208 0.057 0.962
Cl 0.292 0.943 0.462
Cl 0.792 0.557 0.538
Cl 0.292 0.557 0.962
Cl 0.792 0.943 0.038
Cl 0.708 0.057 0.538
Cl 0.208 0.443 0.462
Cl 0.184 0.226 0.181
Cl 0.684 0.274 0.819
Cl 0.816 0.726 0.319
Cl 0.316 0.774 0.681
Cl 0.816 0.774 0.819
Cl 0.316 0.726 0.181
Cl 0.184 0.274 0.681
Cl 0.684 0.226 0.319
Cl 0.455 0.092 0.117
Cl 0.955 0.408 0.883
Cl 0.545 0.592 0.383
Cl 0.045 0.908 0.617
Cl 0.545 0.908 0.883
Cl 0.045 0.592 0.117
Cl 0.455 0.408 0.617
Cl 0.955 0.092 0.383

=====

Entry 2:
## KNa2PdF6 (PBE)

Data for a relaxed structure of KNa2PdF6.

Results
As for the MP2020-corrected energy: -4.31 eV/atom. The magnetization is 1.00 μB per formula unit. The formation enthalpy at 0 K comes out at -2.26 eV per atom.

a b c (Å): 6.347 6.347 6.347
angles (deg): 60.00 60.00 60.00
Fractional coordinates of all 10 atoms:
K 0.500 0.500 0.500
Na 0.250 0.250 0.250
Na 0.750 0.750 0.750
Pd 0.000 0.000 0.000
F 0.228 0.228 0.772
F 0.228 0.772 0.772
F 0.772 0.772 0.228
F 0.228 0.772 0.228
F 0.772 0.228 0.772
F 0.772 0.228 0.228

=====

Entry 3:
## Mg17Si16O48 (PBE)

Data for a relaxed structure of Mg17Si16O48.

Results
As for the MP2020-corrected energy: -7.46 eV/atom. The magnetization is 0.00 μB per formula unit. The formation enthalpy at 0 K comes out at -3.12 eV per atom.

a b c (Å): 8.933 9.488 10.860
angles (deg): 89.29 90.00 90.00
Fractional coordinates of all 81 atoms:
Mg 0.103 0.011 0.753
Mg 0.739 0.003 0.752
Mg 0.262 0.000 0.500
Mg 0.896 0.000 0.000
Mg 0.262 0.000 0.000
Mg 0.103 0.989 0.247
Mg 0.739 0.997 0.248
Mg 0.896 0.000 0.500
Mg 0.765 0.500 0.500
Mg 0.131 0.500 0.500
Mg 0.441 0.500 0.500
Mg 0.610 0.499 0.248
Mg 0.759 0.500 0.000
Mg 0.252 0.498 0.244
Mg 0.403 0.500 0.000
Mg 0.610 0.501 0.752
Mg 0.252 0.502 0.756
Si 0.589 0.209 0.907
Si 0.410 0.207 0.156
Si 0.412 0.212 0.655
Si 0.593 0.206 0.405
Si 0.091 0.293 0.908
Si 0.087 0.269 0.392
Si 0.913 0.291 0.658
Si 0.904 0.286 0.151
Si 0.091 0.707 0.092
Si 0.904 0.714 0.849
Si 0.087 0.731 0.608
Si 0.913 0.709 0.342
Si 0.412 0.788 0.345
Si 0.410 0.793 0.844
Si 0.589 0.791 0.093
Si 0.593 0.794 0.595
O 0.745 0.123 0.908
O 0.748 0.119 0.404
O 0.256 0.126 0.655
O 0.254 0.120 0.159
O 0.097 0.120 0.915
O 0.900 0.114 0.158
O 0.904 0.119 0.663
O 0.088 0.100 0.407
O 0.482 0.156 0.520
O 0.476 0.152 0.020
O 0.523 0.153 0.270
O 0.523 0.155 0.770
O 0.018 0.336 0.263
O 0.023 0.346 0.771
O 0.973 0.346 0.016
O 0.983 0.337 0.513
O 0.409 0.380 0.161
O 0.414 0.386 0.660
O 0.595 0.382 0.911
O 0.602 0.380 0.411
O 0.247 0.379 0.910
O 0.243 0.362 0.402
O 0.751 0.375 0.155
O 0.761 0.382 0.655
O 0.247 0.621 0.090
O 0.761 0.618 0.345
O 0.751 0.625 0.845

_Wanted_
Transcribe only the lines further above with the word "deg" in them, please.

_Reply_
angles (deg): 90.00 90.00 90.00
angles (deg): 60.00 60.00 60.00
angles (deg): 89.29 90.00 90.00